[Job]
Retype everything underneath without altering anything, please.

[Excerpt]
=====
1.
Theoretical powder X-ray diffraction pattern
Compound: Dy5HoEr7
Radiation: Cu Kα (weighted mean of Kα1 and Kα2)
Structure: the PBE geometry in Alexandria

Atomic structure:
abc: 8.595 8.595 8.595
angles: 134.73 100.25 96.79
Fractional coordinates of all 13 atoms:
Dy 0.000 0.000 0.000
Dy 0.226 0.268 0.495
Dy 0.226 0.731 0.958
Dy 0.773 0.268 0.042
Dy 0.773 0.731 0.505
Ho 0.194 0.694 0.500
Er 0.080 0.250 0.830
Er 0.421 0.250 0.170
Er 0.499 0.499 0.000
Er 0.501 0.001 0.500
Er 0.580 0.749 0.831
Er 0.807 0.307 0.500
Er 0.919 0.749 0.169

Most intense lines, 2θ = 5–70°, in order of rising 2θ:
26.98 deg, intensity 27; 27.78 deg, intensity 31; 31.31 deg, intensity 100; 31.57 deg, intensity 58; 31.98 deg, intensity 82; 35.34 deg, intensity 78; 36.20 deg, intensity 27; 55.59 deg, intensity 26; 57.39 deg, intensity 26; 58.41 deg, intensity 32



2.
Theoretical powder X-ray diffraction pattern
Compound: Dy15Ho4Er
Radiation: Cu Kα (weighted mean of Kα1 and Kα2)
Structure: the PBE geometry in Alexandria

Atomic structure:
abc: 4.992 4.992 24.954
angles: 90.00 90.00 90.00
Fractional coordinates of all 20 atoms:
Dy 0.000 0.000 0.000
Dy 0.000 0.000 0.200
Dy 0.000 0.000 0.400
Dy 0.000 0.000 0.600
Dy 0.000 0.000 0.800
Dy 0.000 0.500 0.100
Dy 0.000 0.500 0.300
Dy 0.000 0.500 0.500
Dy 0.000 0.500 0.700
Dy 0.000 0.500 0.900
Dy 0.500 0.000 0.100
Dy 0.500 0.000 0.300
Dy 0.500 0.000 0.500
Dy 0.500 0.000 0.700
Dy 0.500 0.000 0.900
Ho 0.500 0.500 0.200
Ho 0.500 0.500 0.400
Ho 0.500 0.500 0.600
Ho 0.500 0.500 0.800
Er 0.500 0.500 0.000

Most intense lines, 2θ = 5–70°, in order of rising 2θ:
31.03 deg, intensity 100; 35.98 deg, intensity 51; 51.80 deg, intensity 36; 61.63 deg, intensity 43; 64.69 deg, intensity 12



3.
Theoretical powder X-ray diffraction pattern
Compound: Dy5HoEr4
Radiation: Cu Kα (weighted mean of Kα1 and Kα2)
Structure: the PBE geometry in Alexandria

Atomic structure:
abc: 7.788 7.788 7.788
angles: 99.26 99.26 132.70
Fractional coordinates of all 10 atoms:
Dy 0.000 0.000 0.000
Dy 0.039 0.416 0.913
Dy 0.125 0.039 0.622
Dy 0.416 0.503 0.378
Dy 0.503 0.125 0.087
Ho 0.541 0.541 0.000
Er 0.116 0.722 0.298
Er 0.424 0.818 0.702
Er 0.722 0.424 0.606
Er 0.818 0.116 0.394

Most intense lines, 2θ = 5–70°, in order of rising 2θ:
27.97 deg, intensity 62; 28.57 deg, intensity 30; 30.18 deg, intensity 100; 31.25 deg, intensity 38; 33.74 deg, intensity 24; 35.14 deg, intensity 54; 37.83 deg, intensity 24; 39.55 deg, intensity 23; 40.41 deg, intensity 35; 57.49 deg, intensity 21



4.
Theoretical powder X-ray diffraction pattern
Compound: Dy3Ho4Er5
Radiation: Cu Kα (weighted mean of Kα1 and Kα2)
Structure: the PBE geometry in Alexandria

Atomic structure:
abc: 6.080 7.030 8.595
angles: 89.97 89.91 89.90
Fractional coordinates of all 12 atoms:
Dy 0.000 0.000 0.000
Dy 0.167 0.250 0.333
Dy 0.833 0.750 0.667
Ho 0.167 0.750 0.333
Ho 0.333 0.500 0.667
Ho 0.667 0.500 0.333
Ho 0.833 0.250 0.667
Er 0.000 0.500 0.000
Er 0.333 0.000 0.667
Er 0.500 0.250 0.000
Er 0.500 0.750 0.000
Er 0.667 0.000 0.333

Most intense lines, 2θ = 5–70°, in order of rising 2θ:
31.20 deg, intensity 100; 36.18 deg, intensity 51; 52.08 deg, intensity 30; 52.16 deg, intensity 6; 61.96 deg, intensity 32; 62.04 deg, intensity 11; 64.95 deg, intensity 3; 65.10 deg, intensity 9



5.
Theoretical powder X-ray diffraction pattern
Compound: Dy4HoEr5
Radiation: Cu Kα (weighted mean of Kα1 and Kα2)
Structure: the PBE geometry in Alexandria

Atomic structure:
abc: 3.524 6.697 13.760
angles: 97.62 90.59 104.92
Fractional coordinates of all 10 atoms:
Dy 0.133 0.208 0.307
Dy 0.167 0.324 0.712
Dy 0.833 0.676 0.288
Dy 0.867 0.792 0.693
Ho 0.000 0.500 0.500
Er 0.190 0.376 0.084
Er 0.468 0.920 0.114
Er 0.500 0.000 0.500
Er 0.532 0.080 0.886
Er 0.810 0.624 0.916

Most intense lines, 2θ = 5–70°, in order of rising 2θ:
=====

[Worked solution]
1.
Theoretical powder X-ray diffraction pattern
Compound: Dy5HoEr7
Radiation: Cu Kα (weighted mean of Kα1 and Kα2)
Structure: the PBE geometry in Alexandria

Atomic structure:
abc: 8.595 8.595 8.595
angles: 134.73 100.25 96.79
Fractional coordinates of all 13 atoms:
Dy 0.000 0.000 0.000
Dy 0.226 0.268 0.495
Dy 0.226 0.731 0.958
Dy 0.773 0.268 0.042
Dy 0.773 0.731 0.505
Ho 0.194 0.694 0.500
Er 0.080 0.250 0.830
Er 0.421 0.250 0.170
Er 0.499 0.499 0.000
Er 0.501 0.001 0.500
Er 0.580 0.749 0.831
Er 0.807 0.307 0.500
Er 0.919 0.749 0.169

Most intense lines, 2θ = 5–70°, in order of rising 2θ:
26.98 deg, intensity 27; 27.78 deg, intensity 31; 31.31 deg, intensity 100; 31.57 deg, intensity 58; 31.98 deg, intensity 82; 35.34 deg, intensity 78; 36.20 deg, intensity 27; 55.59 deg, intensity 26; 57.39 deg, intensity 26; 58.41 deg, intensity 32



2.
Theoretical powder X-ray diffraction pattern
Compound: Dy15Ho4Er
Radiation: Cu Kα (weighted mean of Kα1 and Kα2)
Structure: the PBE geometry in Alexandria

Atomic structure:
abc: 4.992 4.992 24.954
angles: 90.00 90.00 90.00
Fractional coordinates of all 20 atoms:
Dy 0.000 0.000 0.000
Dy 0.000 0.000 0.200
Dy 0.000 0.000 0.400
Dy 0.000 0.000 0.600
Dy 0.000 0.000 0.800
Dy 0.000 0.500 0.100
Dy 0.000 0.500 0.300
Dy 0.000 0.500 0.500
Dy 0.000 0.500 0.700
Dy 0.000 0.500 0.900
Dy 0.500 0.000 0.100
Dy 0.500 0.000 0.300
Dy 0.500 0.000 0.500
Dy 0.500 0.000 0.700
Dy 0.500 0.000 0.900
Ho 0.500 0.500 0.200
Ho 0.500 0.500 0.400
Ho 0.500 0.500 0.600
Ho 0.500 0.500 0.800
Er 0.500 0.500 0.000

Most intense lines, 2θ = 5–70°, in order of rising 2θ:
31.03 deg, intensity 100; 35.98 deg, intensity 51; 51.80 deg, intensity 36; 61.63 deg, intensity 43; 64.69 deg, intensity 12



3.
Theoretical powder X-ray diffraction pattern
Compound: Dy5HoEr4
Radiation: Cu Kα (weighted mean of Kα1 and Kα2)
Structure: the PBE geometry in Alexandria

Atomic structure:
abc: 7.788 7.788 7.788
angles: 99.26 99.26 132.70
Fractional coordinates of all 10 atoms:
Dy 0.000 0.000 0.000
Dy 0.039 0.416 0.913
Dy 0.125 0.039 0.622
Dy 0.416 0.503 0.378
Dy 0.503 0.125 0.087
Ho 0.541 0.541 0.000
Er 0.116 0.722 0.298
Er 0.424 0.818 0.702
Er 0.722 0.424 0.606
Er 0.818 0.116 0.394

Most intense lines, 2θ = 5–70°, in order of rising 2θ:
27.97 deg, intensity 62; 28.57 deg, intensity 30; 30.18 deg, intensity 100; 31.25 deg, intensity 38; 33.74 deg, intensity 24; 35.14 deg, intensity 54; 37.83 deg, intensity 24; 39.55 deg, intensity 23; 40.41 deg, intensity 35; 57.49 deg, intensity 21



4.
Theoretical powder X-ray diffraction pattern
Compound: Dy3Ho4Er5
Radiation: Cu Kα (weighted mean of Kα1 and Kα2)
Structure: the PBE geometry in Alexandria

Atomic structure:
abc: 6.080 7.030 8.595
angles: 89.97 89.91 89.90
Fractional coordinates of all 12 atoms:
Dy 0.000 0.000 0.000
Dy 0.167 0.250 0.333
Dy 0.833 0.750 0.667
Ho 0.167 0.750 0.333
Ho 0.333 0.500 0.667
Ho 0.667 0.500 0.333
Ho 0.833 0.250 0.667
Er 0.000 0.500 0.000
Er 0.333 0.000 0.667
Er 0.500 0.250 0.000
Er 0.500 0.750 0.000
Er 0.667 0.000 0.333

Most intense lines, 2θ = 5–70°, in order of rising 2θ:
31.20 deg, intensity 100; 36.18 deg, intensity 51; 52.08 deg, intensity 30; 52.16 deg, intensity 6; 61.96 deg, intensity 32; 62.04 deg, intensity 11; 64.95 deg, intensity 3; 65.10 deg, intensity 9



5.
Theoretical powder X-ray diffraction pattern
Compound: Dy4HoEr5
Radiation: Cu Kα (weighted mean of Kα1 and Kα2)
Structure: the PBE geometry in Alexandria

Atomic structure:
abc: 3.524 6.697 13.760
angles: 97.62 90.59 104.92
Fractional coordinates of all 10 atoms:
Dy 0.133 0.208 0.307
Dy 0.167 0.324 0.712
Dy 0.833 0.676 0.288
Dy 0.867 0.792 0.693
Ho 0.000 0.500 0.500
Er 0.190 0.376 0.084
Er 0.468 0.920 0.114
Er 0.500 0.000 0.500
Er 0.532 0.080 0.886
Er 0.810 0.624 0.916

Most intense lines, 2θ = 5–70°, in order of rising 2θ: